While it is true that men lose a little bit more hair than women do, it does not mean the latter do not feel demoralized and afraid. Hair loss is most of the times the symptom of a more severe problem or a combination of health issues. However, in order to take the correct measures against hair loss, we need to identify the causes. In some cases, correcting a deficit also solves the hair loss problem. Other times, people need to make serious lifestyle changes to fix the hair damages. Today, we will look at the top 11 reasons for hair loss and try to understand better how and when to make the necessary adjustments to protect your hair.
How Much Hair Loss is Normal?
Before we talk about hair loss as a health problem, we need to remind ourselves that hair thinning and hair loss – in certain limits – is a natural process. Not so long ago, we have discussed how much hair loss is normal, but a quick sum-up does not hurt: scientists agree that an average loss of 60-100 hairs per day is within expected margins.
Moreover, it is quite natural to see hair breaking when we brush it or wash it. Women with curly hair experience more hair strands breakings because they usually brush or comb their hair more vigorously. Styling tools or the over-use of hair products may also lead to hair thinning, breaking or falling.
The real problems begin when you notice that your hair does not stop from falling for three (or more) months in a row. In case you are in this situation, it is time to talk about the major reasons for hair loss.
Top Unexpected Reasons for Hair Loss in Women
Women can lose their hair due to plenty of health or environmental reasons, and we will discuss some specific circumstances women need to know and be prepared for.
1. Pregnancy
Pregnancy comes with both physical stress and hormone changes. Some women experience hair loss during their pregnancy, while many women experience it after they deliver the baby. Just as pregnancy acne is something to just deal with, pregnancy hair loss is also temporary. Natural birth is a stressful event for the body; this is why hair loss can be sometimes a direct consequence.
What to do: Have patience. The good news is that this condition is reversible naturally. In a few months after you gave birth, your hair will grow again normally.
2. Female-Pattern Hair Loss
Androgenic or androgenetic alopecia is the female version of male pattern baldness, albeit rare. If you come from a family where women experienced hair loss at a certain age, you are probably going to experience it as well. While women do not have a receding hairline as men do, they do go through hair thinning and breaking.
What to do: In case you did not know, Rogaine works great for women and specialists recommend this over-the-counter treatment to women suffering from this condition.
3. Female Hormones
As it is the case with pregnancy, all hormonal changes in women may lead to some hair problems. Among the most frequent reasons for hair loss in women, we can list: switching or going off birth control pills, menopause, ovary and breast health issues, and more.
What to do: One of the first steps you need to consider is talking to your doctor about oral contraceptives, family history, and so on.
4. Hair Styling Abuse
This is not one of the unexpected reasons for female hair loss, but it is still one of the most common, so it is worth a mention on this list. Women use plenty of styling products, chemicals, oils, and hairdos, which, in time, lead to hair loss. Specialists say that some of the most common causes of female hair loss are:
- tight braids, hair weaves or cornrows
- chemicals to straighten curly hair
- hot-oil treatments, harsh chemicals, hair dyes or high heat
The problem with over-styling is that many such hair styling products and practices damage the hair roots – meaning that your hair might not grow back at all.
What to do: Make sure you properly treat colored hair; use deep conditioning techniques to strengthen your hair and make it more resilient to physical damage; use an anti-hair loss shampoo to minimize the damages.
Top Unexpected Reasons for Hair Loss in Men
Men expect to lose hair at some point in life. According to experts, 2 out of 3 men experience hair loss by the age of 60. Most of the time, the cause is male pattern baldness. However, there are more unexpected reasons for hair loss in men and we will discuss them one by one.
1. Anabolic Steroids
According to the American Academy of Dermatology, the use of anabolic steroids can quickly lead to hair loss. Steroids heavily disrupt your normal hormonal functions and you may experience plenty of other health issues besides hair loss.
What to do: No matter how much you want to reach your athletic goals, the use of anabolic steroids equals shooting yourself in the leg. You may build some muscle, but you will certainly damage your health, sometimes with irreversible consequences.
2. Alcohol, Tobacco, and Drugs
The unholy triad describing the lifestyle of many modern young men is a cause of concern on a global level. The chemicals and carcinogens found in tobacco slow down hair growth, which in turn leads to thinning hair and can result in significant hair loss if not addressed. Recreational alcohol and drug use also can cause hair loss because they can be a shock to the system. Alcohol and drug use usually come together with nutrient depletion and internal organs’ malfunctions, which means that temporary or permanent hair loss is a very probable side effect.
What to do: Try to quit smoking and limit the amount of recreational alcohol and drugs you use. Back your health and system with the introduction of as many superfoods as you can in your diet and lifestyle.
Gender-Independent Unexpected Reasons for Hair Loss
If you wonder what causes your hair to fall out despite the fact that you do not recognize yourself in any of the scenarios described above, you will find some of the answers below. There are plenty of causes of hair loss, which are independent of gender.
1. Too Much Vitamin A
We all know vitamin A is great for our hair and skin. In fact, Vitamin A is an immune-system booster and one of the most praised vitamins for hair growth. However, abusing vitamin A can lead to a reverse effect: it can lead to hair loss. The American Academy of Dermatology says that overdoing vitamin A-containing supplements or medications can trigger hair loss in both men and women.
What to do: Talk to your doctor and make sure your vitamin A levels are in balance. If you want to boost your hair and skin health, try adding a handful of good foods for hair and skin instead of medication or supplements.
2. Lack of Protein
Inserted here: calculated crystals
'''
1.
Er3MgSn2: relaxed, PBE.

Properties
Space-group type   Ibam
Total DFT energy (no corrections)   -52.29 eV per cell
D(E_F)   7.63 states/eV/f.u.
Magnetic moment   0.0 μB/f.u.
Crystal system   orthorhombic
ΔH_f (0 K)   -0.476 eV/atom

Cell: 9.313 9.313 9.313 Å, 140.31 57.12 140.65°
Atoms (fractional coordinates):
Er: 0.176 0.739 0.915
Er: 0.250 0.250 0.000
Er: 0.324 0.239 0.563
Er: 0.676 0.761 0.437
Er: 0.750 0.750 0.000
Er: 0.824 0.261 0.085
Mg: 0.250 0.750 0.500
Mg: 0.750 0.250 0.500
Sn: 0.136 0.244 0.380
Sn: 0.364 0.744 0.108
Sn: 0.636 0.256 0.892
Sn: 0.864 0.756 0.620

2.
Er5Mg2Sn: relaxed, PBE.

Properties
Space-group type   I4/mcm
Total DFT energy (no corrections)   -62.54 eV per cell
D(E_F)   8.72 states/eV/f.u.
Magnetic moment   0.0 μB/f.u.
Crystal system   tetragonal
ΔH_f (0 K)   -0.158 eV/atom

Cell: 8.724 8.724 8.724 Å, 123.02 123.02 84.84°
Atoms (fractional coordinates):
Er: 0.000 0.000 0.000
Er: 0.003 0.503 0.192
Er: 0.189 0.997 0.500
Er: 0.311 0.811 0.808
Er: 0.497 0.689 0.500
Er: 0.500 0.500 0.000
Er: 0.503 0.311 0.500
Er: 0.689 0.189 0.192
Er: 0.811 0.003 0.500
Er: 0.997 0.497 0.808
Mg: 0.137 0.363 0.500
Mg: 0.363 0.863 0.225
Mg: 0.637 0.137 0.775
Mg: 0.863 0.637 0.500
Sn: 0.250 0.250 0.000
Sn: 0.750 0.750 0.000

3.
ErMg3Sn6: relaxed, PBE.

Properties
Space-group type   P2_1/m
Total DFT energy (no corrections)   -70.59 eV per cell
D(E_F)   4.27 states/eV/f.u.
Magnetic moment   0.0 μB/f.u.
Crystal system   monoclinic
ΔH_f (0 K)   -0.193 eV/atom

Cell: 10.138 4.482 11.016 Å, 90.00 92.96 90.00°
Atoms (fractional coordinates):
Er: 0.057 0.250 0.378
Er: 0.943 0.750 0.622
Mg: 0.254 0.250 0.000
Mg: 0.353 0.750 0.802
Mg: 0.451 0.250 0.597
Mg: 0.549 0.750 0.403
Mg: 0.647 0.250 0.198
Mg: 0.746 0.750 0.000
Sn: 0.067 0.750 0.901
Sn: 0.155 0.750 0.192
Sn: 0.168 0.250 0.690
Sn: 0.254 0.750 0.501
Sn: 0.363 0.250 0.304
Sn: 0.450 0.750 0.097
Sn: 0.550 0.250 0.903
Sn: 0.637 0.750 0.696
Sn: 0.746 0.250 0.499
Sn: 0.832 0.750 0.310
Sn: 0.845 0.250 0.808
Sn: 0.933 0.250 0.099

4.
ErMg5Sn6: relaxed, PBE.

Properties
Space-group type   Cmmm
Total DFT energy (no corrections)   -39.10 eV per cell
D(E_F)   4.66 states/eV/f.u.
Magnetic moment   0.0 μB/f.u.
Crystal system   orthorhombic
ΔE to the lowest computed polymorph   0.000 eV per formula unit
ΔH_f (0 K)   -0.213 eV/atom

Cell: 7.636 7.636 8.691 Å, 90.00 90.00 144.96°
Atoms (fractional coordinates):
Er: 0.000 0.000 0.000
Mg: 0.000 0.000 0.500
Mg: 0.332 0.668 0.000
Mg: 0.334 0.666 0.500
Mg: 0.666 0.334 0.500
Mg: 0.668 0.332 0.000
Sn: 0.167 0.833 0.253
Sn: 0.167 0.833 0.747
Sn: 0.500 0.500 0.258
Sn: 0.500 0.500 0.742
Sn: 0.833 0.167 0.253
Sn: 0.833 0.167 0.747

5.
'''
You may be on a diet, but are you giving your body the proteins it needs to survive and stay healthy? If you do not give your body enough proteins, it will begin to shut down hair growth and use the proteins it stored for other more important functions. In the case of a protein sudden drop, you will start losing hair in about two to three months.
What to do: If you want to lose some weight and give your body a balanced intake of proteins, vitamins, minerals, and essential nutrients, check out our 12 healthy weight loss recipes for an easy diet.
3. Stress
Unexpected? Not so much. Important? Extremely. The disease of the century, stress causes so much more than hair loss. However, emotional stress is one of the major reasons for hair loss in both men and women, no matter their age. The mechanisms of stress are rather complicated. They exacerbate what is already there or they can trigger the body to show paradoxical reactions or over the top ones.
What to do: Unfortunately, there is no direct medical correlation to link the elimination of stress with hair regrowth. Of course, there is a logical link, but science has still plenty to find out. What you can do to alleviate stress and protect your entire body and health system, not just your hair, is to make some lifestyle changes. Among the nine reasons why you should start practicing yoga, physical and emotional stress relief is the major one.
4. Dramatic Weight Loss
The problem with harsh diets is that you put your body through tremendous physical stress and trauma – not to mention you rob it of some essential nutrients it needs to survive. Dramatic weight loss in both men and women can lead to hair loss because of the nutrients deficiencies you entertain.
Moreover, dramatic weight loss associated with hair loss may be a sign of an eating disorder, like anorexia or bulimia. Besides the physical shock of losing many pounds in a very short period, your body will also try to reroute its resources to organ functioning, putting hair growth on the bench. When your body needs to handle anemia or vitamin B depletion, your hair growth will be the last thing on the priorities’ list.
What to do: Instead of following an extreme diet (which will probably have a rebound effect anyway), try to change your lifestyle completely. Here are our top picks of healthy dietary plans to lose only your weight, not your health as well.
5. Antidepressants, blood thinners, and other Medication
When you are on a certain medical treatment plan, your doctor warns you about the most common medication side effects, especially if they disturb other organs’ functions. However, few remember to mention that the use of some medications can lead to hair loss as well.
Blood thinners and blood-pressure drugs known as beta-blockers can promote hair thinning and loss. Methotrexate (used to treat rheumatic conditions), lithium (for bipolar disorder), nonsteroidal anti-inflammatory drugs (NSAIDs) including ibuprofen, and some antidepressants are also included among the major chemical reasons for hair loss.
What to do: Talk to your doctor about your hair loss and its correlation with some medicine you take. Your doctor may switch to another medicine or lower the dose. Since you cannot give up the medicine, you can still strengthen and protect your hair as a backup plan. Here is what we have found about avocado oil for hair care and intensive treatments.
Picking up our brushes
As you can see, the major reasons for hair loss are a mix of heredity, environmental factors, health issues, and lifestyle choices. If you are interested in more information about what causes hair to fall out and what you can do to prevent it, leave us a comment in the section below!
Image sources: 1, 2, 3, 4, 5, 6